Your job: type out everything below exactly.

____________
Entry 1:
Below is 7 unconnected molecules or ions with the total composition C13H26Cl10O6 at a distorted geometry, with properties calculated with ωB97M-V/def2-TZVPD.

Structure (XYZ):
```
55
Properties=species:S:1:pos:R:3:forces:R:3
Cl 1.7152 1.1995 -5.0167 -0.2 -0.6 -0.2
Cl -4.0662 -3.9186 1.7443 0.5 0.4 0.3
Cl -1.7725 -5.3294 2.8023 0.4 -0.2 0.0
Cl 4.6174 -0.5871 -0.6574 -0.5 0.0 -0.1
Cl 0.3194 -3.0033 0.9331 0.8 0.2 -0.4
Cl 2.1851 -3.1330 -1.3038 -0.1 0.3 1.0
Cl 6.9445 -1.6304 0.5988 0.3 0.1 0.1
Cl -2.1024 -3.2711 -3.0692 -0.1 -0.1 0.7
Cl -0.6416 0.6617 -3.4442 -0.1 -0.2 0.2
Cl -2.8784 -5.5897 -1.4016 0.1 0.5 0.0
O -1.7086 1.7383 3.0055 -0.4 -0.5 0.4
O 1.2854 3.3375 -0.5626 1.0 -0.9 -0.5
O 2.0652 1.2465 -1.1003 0.2 2.4 -0.3
O -2.4974 0.9078 1.1739 0.1 1.7 0.4
O -1.3878 -0.4658 2.5857 -0.2 -0.5 0.1
O 2.7947 3.2400 -2.0823 0.2 -1.3 0.6
C -2.5435 -0.0010 0.0963 -1.6 -1.3 -0.2
C -3.6563 0.4697 -0.9110 1.4 0.3 1.2
C 0.8710 -0.0438 -4.0507 0.0 0.7 0.1
C 5.3139 -1.0570 0.8893 0.3 -0.4 0.4
C -0.4093 4.0450 0.8974 0.1 -1.0 -0.3
C -2.6441 -3.8246 -1.4549 -0.2 -0.6 -0.4
C 0.2372 2.8091 0.2210 -1.4 0.8 1.6
C -2.6401 -3.8121 2.8389 -0.6 0.1 0.0
C -1.1563 1.6370 4.3446 0.4 0.0 -0.2
C 3.8026 2.5988 -2.8920 0.5 -0.2 -0.4
C 1.4486 -2.0595 -0.0518 -0.6 0.8 -1.1
C -1.8695 0.6019 2.3049 1.0 0.8 -0.4
C 2.0760 2.4879 -1.2244 -0.4 -1.0 -0.5
H 0.4920 2.1260 1.0313 1.0 -0.1 -0.2
H -0.5212 2.5098 4.4963 -0.2 0.1 -0.2
H -2.8313 -0.9269 0.5944 -0.1 -0.5 -0.5
H -3.8789 -0.2797 -1.6706 0.1 0.0 0.1
H 0.5982 -0.9176 -4.6424 0.4 0.2 0.0
H -1.9507 1.6438 5.0909 0.0 -0.1 -0.2
H -1.0625 3.6967 1.6975 -0.4 0.0 -0.4
H 0.8965 -1.3272 -0.6409 -0.3 -0.2 0.1
H -4.5383 0.7415 -0.3311 -0.1 -0.3 -0.1
H 2.1674 -1.4269 0.4690 0.3 -0.8 0.4
H 0.3305 4.6482 1.4237 0.2 0.1 -0.4
H -3.3029 1.3912 -1.3735 -0.1 -0.1 -0.3
H 1.5209 -0.2339 -3.1966 -0.2 -0.2 -0.1
H 4.8188 2.7633 -2.5338 -0.2 0.4 0.6
H 5.3058 -0.2037 1.5675 0.1 0.0 -0.2
H 3.7666 3.0451 -3.8858 -0.3 0.0 0.2
H -0.9272 4.6009 0.1158 -0.1 0.3 0.4
H -0.5148 0.7624 4.4528 -0.3 -0.1 -0.1
H -3.6041 -3.3631 -1.2236 0.2 0.0 -0.1
H -1.5661 -0.1705 -0.3553 0.1 0.4 -0.1
H -0.4861 2.2484 -0.3711 0.0 0.2 -0.4
H -3.0145 -3.6310 3.8465 0.0 -0.1 -0.2
H -1.9046 -3.5801 -0.6924 0.1 0.1 -0.2
H 3.7016 1.5171 -2.9813 -0.5 0.2 0.1
H 4.7760 -1.8949 1.3329 -0.2 0.2 -0.2
H -1.9738 -2.9935 2.5668 -0.2 0.0 -0.3
```
Positions in Å, forces in eV/Å.

Output
* lowest unoccupied orbital energy (spin up / spin down): -2.7 / -10.6 eV
* ⟨S²⟩: 0.7536
* multiplicity: 2
* total charge: +1


Entry 2:
Below is 6 unconnected molecules or ions with the total composition C13H26Cl12O2S2 at a distorted geometry, with properties calculated with ωB97M-V/def2-TZVPD.

Structure (XYZ):
```
55
Properties=species:S:1:pos:R:3:forces:R:3
Cl 18.8622 -13.1289 9.7917 -0.1 0.0 0.3
Cl 15.3386 -11.7888 15.5250 -0.5 -0.2 -0.2
Cl 17.1690 -11.6496 11.6203 0.0 -0.1 -0.2
Cl 17.4965 -10.1422 14.6695 0.4 0.0 0.0
Cl 19.6169 -19.7140 10.9359 0.0 -0.7 -0.1
Cl 17.4771 -11.3579 17.3088 0.4 0.1 0.3
Cl 19.3405 -13.2221 12.6683 -0.2 0.0 -0.2
Cl 15.7204 -9.1664 16.6698 -0.2 0.2 0.2
Cl 20.3609 -17.1672 9.8946 -0.1 0.1 -0.1
Cl 17.5780 -17.7581 10.4346 0.0 -0.1 -0.1
Cl 17.0125 -14.5504 11.5223 0.4 0.5 0.0
Cl 19.4577 -17.4195 12.5993 -0.1 0.1 0.1
S 22.8369 -11.4466 16.1782 0.3 0.4 0.1
S 19.1954 -15.3482 16.3287 0.7 0.7 0.0
O 23.2713 -12.7401 15.6117 0.2 -0.6 -0.3
O 19.1777 -13.8479 16.4606 0.0 -0.6 -0.2
C 19.9589 -13.5893 22.0449 0.4 -1.0 1.0
C 18.1052 -13.1288 11.3985 -0.2 -0.3 0.0
C 21.2947 -11.0224 15.4225 -0.8 0.7 -0.3
C 16.0846 -10.5027 22.6410 -0.7 -1.1 0.7
C 19.2377 -18.0191 10.9615 0.1 0.3 -0.1
C 18.0549 -11.9887 22.2931 -1.5 -0.9 1.0
C 20.0725 -15.9346 17.7699 -1.3 -1.5 0.8
C 22.0966 -11.8590 17.7342 -1.2 -0.4 0.6
C 20.4684 -15.7417 15.1058 -0.6 0.0 -0.1
C 16.5190 -10.6116 16.0628 -0.1 0.1 -0.2
C 20.6055 -14.6479 21.1479 0.3 0.4 0.5
C 18.7567 -12.9664 21.4203 1.2 0.7 -1.8
C 16.9191 -11.2414 21.6045 0.5 0.7 0.4
H 19.1539 -12.4546 20.5147 -0.4 -0.1 0.2
____________

Entry 1:
Below is 7 unconnected molecules or ions with the total composition C13H26Cl10O6 at a distorted geometry, with properties calculated with ωB97M-V/def2-TZVPD.

Structure (XYZ):
```
55
Properties=species:S:1:pos:R:3:forces:R:3
Cl 1.7152 1.1995 -5.0167 -0.2 -0.6 -0.2
Cl -4.0662 -3.9186 1.7443 0.5 0.4 0.3
Cl -1.7725 -5.3294 2.8023 0.4 -0.2 0.0
Cl 4.6174 -0.5871 -0.6574 -0.5 0.0 -0.1
Cl 0.3194 -3.0033 0.9331 0.8 0.2 -0.4
Cl 2.1851 -3.1330 -1.3038 -0.1 0.3 1.0
Cl 6.9445 -1.6304 0.5988 0.3 0.1 0.1
Cl -2.1024 -3.2711 -3.0692 -0.1 -0.1 0.7
Cl -0.6416 0.6617 -3.4442 -0.1 -0.2 0.2
Cl -2.8784 -5.5897 -1.4016 0.1 0.5 0.0
O -1.7086 1.7383 3.0055 -0.4 -0.5 0.4
O 1.2854 3.3375 -0.5626 1.0 -0.9 -0.5
O 2.0652 1.2465 -1.1003 0.2 2.4 -0.3
O -2.4974 0.9078 1.1739 0.1 1.7 0.4
O -1.3878 -0.4658 2.5857 -0.2 -0.5 0.1
O 2.7947 3.2400 -2.0823 0.2 -1.3 0.6
C -2.5435 -0.0010 0.0963 -1.6 -1.3 -0.2
C -3.6563 0.4697 -0.9110 1.4 0.3 1.2
C 0.8710 -0.0438 -4.0507 0.0 0.7 0.1
C 5.3139 -1.0570 0.8893 0.3 -0.4 0.4
C -0.4093 4.0450 0.8974 0.1 -1.0 -0.3
C -2.6441 -3.8246 -1.4549 -0.2 -0.6 -0.4
C 0.2372 2.8091 0.2210 -1.4 0.8 1.6
C -2.6401 -3.8121 2.8389 -0.6 0.1 0.0
C -1.1563 1.6370 4.3446 0.4 0.0 -0.2
C 3.8026 2.5988 -2.8920 0.5 -0.2 -0.4
C 1.4486 -2.0595 -0.0518 -0.6 0.8 -1.1
C -1.8695 0.6019 2.3049 1.0 0.8 -0.4
C 2.0760 2.4879 -1.2244 -0.4 -1.0 -0.5
H 0.4920 2.1260 1.0313 1.0 -0.1 -0.2
H -0.5212 2.5098 4.4963 -0.2 0.1 -0.2
H -2.8313 -0.9269 0.5944 -0.1 -0.5 -0.5
H -3.8789 -0.2797 -1.6706 0.1 0.0 0.1
H 0.5982 -0.9176 -4.6424 0.4 0.2 0.0
H -1.9507 1.6438 5.0909 0.0 -0.1 -0.2
H -1.0625 3.6967 1.6975 -0.4 0.0 -0.4
H 0.8965 -1.3272 -0.6409 -0.3 -0.2 0.1
H -4.5383 0.7415 -0.3311 -0.1 -0.3 -0.1
H 2.1674 -1.4269 0.4690 0.3 -0.8 0.4
H 0.3305 4.6482 1.4237 0.2 0.1 -0.4
H -3.3029 1.3912 -1.3735 -0.1 -0.1 -0.3
H 1.5209 -0.2339 -3.1966 -0.2 -0.2 -0.1
H 4.8188 2.7633 -2.5338 -0.2 0.4 0.6
H 5.3058 -0.2037 1.5675 0.1 0.0 -0.2
H 3.7666 3.0451 -3.8858 -0.3 0.0 0.2
H -0.9272 4.6009 0.1158 -0.1 0.3 0.4
H -0.5148 0.7624 4.4528 -0.3 -0.1 -0.1
H -3.6041 -3.3631 -1.2236 0.2 0.0 -0.1
H -1.5661 -0.1705 -0.3553 0.1 0.4 -0.1
H -0.4861 2.2484 -0.3711 0.0 0.2 -0.4
H -3.0145 -3.6310 3.8465 0.0 -0.1 -0.2
H -1.9046 -3.5801 -0.6924 0.1 0.1 -0.2
H 3.7016 1.5171 -2.9813 -0.5 0.2 0.1
H 4.7760 -1.8949 1.3329 -0.2 0.2 -0.2
H -1.9738 -2.9935 2.5668 -0.2 0.0 -0.3
```
Positions in Å, forces in eV/Å.

Output
* lowest unoccupied orbital energy (spin up / spin down): -2.7 / -10.6 eV
* ⟨S²⟩: 0.7536
* multiplicity: 2
* total charge: +1


Entry 2:
Below is 6 unconnected molecules or ions with the total composition C13H26Cl12O2S2 at a distorted geometry, with properties calculated with ωB97M-V/def2-TZVPD.

Structure (XYZ):
```
55
Properties=species:S:1:pos:R:3:forces:R:3
Cl 18.8622 -13.1289 9.7917 -0.1 0.0 0.3
Cl 15.3386 -11.7888 15.5250 -0.5 -0.2 -0.2
Cl 17.1690 -11.6496 11.6203 0.0 -0.1 -0.2
Cl 17.4965 -10.1422 14.6695 0.4 0.0 0.0
Cl 19.6169 -19.7140 10.9359 0.0 -0.7 -0.1
Cl 17.4771 -11.3579 17.3088 0.4 0.1 0.3
Cl 19.3405 -13.2221 12.6683 -0.2 0.0 -0.2
Cl 15.7204 -9.1664 16.6698 -0.2 0.2 0.2
Cl 20.3609 -17.1672 9.8946 -0.1 0.1 -0.1
Cl 17.5780 -17.7581 10.4346 0.0 -0.1 -0.1
Cl 17.0125 -14.5504 11.5223 0.4 0.5 0.0
Cl 19.4577 -17.4195 12.5993 -0.1 0.1 0.1
S 22.8369 -11.4466 16.1782 0.3 0.4 0.1
S 19.1954 -15.3482 16.3287 0.7 0.7 0.0
O 23.2713 -12.7401 15.6117 0.2 -0.6 -0.3
O 19.1777 -13.8479 16.4606 0.0 -0.6 -0.2
C 19.9589 -13.5893 22.0449 0.4 -1.0 1.0
C 18.1052 -13.1288 11.3985 -0.2 -0.3 0.0
C 21.2947 -11.0224 15.4225 -0.8 0.7 -0.3
C 16.0846 -10.5027 22.6410 -0.7 -1.1 0.7
C 19.2377 -18.0191 10.9615 0.1 0.3 -0.1
C 18.0549 -11.9887 22.2931 -1.5 -0.9 1.0
C 20.0725 -15.9346 17.7699 -1.3 -1.5 0.8
C 22.0966 -11.8590 17.7342 -1.2 -0.4 0.6
C 20.4684 -15.7417 15.1058 -0.6 0.0 -0.1
C 16.5190 -10.6116 16.0628 -0.1 0.1 -0.2
C 20.6055 -14.6479 21.1479 0.3 0.4 0.5
C 18.7567 -12.9664 21.4203 1.2 0.7 -1.8
C 16.9191 -11.2414 21.6045 0.5 0.7 0.4
H 19.1539 -12.4546 20.5147 -0.4 -0.1 0.2